(Contents)
No. 1
NaAc2Sm | GGA-PBE | optimized geometry

a b c (Å): 3.834 3.834 11.144
angles (deg): 90.00 90.00 90.00
Sites, in units of the cell vectors:
Na  0.500  0.500  0.500
Ac  0.000  0.000  0.765
Ac  0.000  0.000  0.235
Sm  0.500  0.500  0.000

Results
- space-group type = P4/mmm (123)

=====

No. 2
NaAc2Sm | GGA-PBE | optimized geometry

a b c (Å): 3.995 6.290 6.290
angles (deg): 90.00 90.00 90.00
Sites, in units of the cell vectors:
Na  0.500  0.000  0.000
Ac  0.000  0.000  0.500
Ac  0.000  0.500  0.000
Sm  0.500  0.500  0.500

Results
- space-group type = P4/mmm (123)

(Brief)
Filter the listing further up: keep the lines with the word "in".

(Solution)
Sites, in units of the cell vectors:
Sites, in units of the cell vectors: